Making a dev console in Godot - A devlog

I’m working on a tactics game, and the core-est of core functionality and features are largely in the game. You can build units from different parts, enter battle, use unique abilities on those parts, win or lose, and repeat. The graphics, AI, sound, progression, and, you know, the entire rest of the actual game are still under way, but I’ve gotten to the point where just spinning up a quick debug build to test a feature out really isn’t cutting it anymore. So to help speed up the process, I’ve added a dev console to my game.

The basics

The console is an Autoloaded scene that sits on top of all other scenes and consists of just a LineEdit node for input and a RichTextLabel node for displaying results in an easy to format way, along with a few Control nodes for layout purposes. When running a debug build, this scene listens for the right key press and makes itself available to the user (me!).

The primary logic of the console is driven by Godot’s Expression class, which lets you parse and execute arbitrary code from a string. In this case, that’s the text I put into the LineEdit node. Starting out with just pulling the sample code straight from the docs is enough to get a basic parser that can handle built-in GDScript functionality, such as doing math or calling a global command like print.

# Source:
var expression =

func _ready():

func _on_text_submitted(command):
	var error = expression.parse(command)
	if error != OK:
	var result = expression.execute()
	if not expression.has_execute_failed():
		$LineEdit.text = str(result)

Crystal structures, kept here for reference:
____________
## K3CoPCO7 (GGA+U)

Data for crystalline K3CoPCO7 at its relaxed geometry.

Computed properties:
* crystal system: triclinic
* uncorrected energy: -164.45 eV/cell
* SG: P1
* DOS(E_F): 0.0 states/eV/cell

Structure (extended XYZ):
```
26
Lattice="5.667 0.000 0.000 -0.018 6.990 0.000 -0.004 -0.117 9.526" Properties=species:S:1:pos:R:3 pbc="T T T"
K 0.000 0.000 0.000
K -0.007 5.021 3.459
K 0.012 1.659 3.508
K 2.800 5.136 7.408
K 2.840 1.511 7.320
K 2.835 3.284 1.321
Co 2.828 6.775 3.992
Co 5.651 3.357 6.866
P -0.002 6.829 6.195
P 2.816 3.350 4.647
C -0.003 3.279 9.415
C 2.817 6.886 1.431
O -0.005 1.116 7.089
O 0.005 3.310 1.174
O 1.107 3.367 8.721
O 1.293 6.820 5.331
O 1.520 3.344 5.511
O 1.704 6.856 2.126
O 2.812 6.974 0.146
O 2.817 4.607 3.720
O 2.860 2.077 3.757
O 3.933 6.838 2.117
O 4.059 3.388 5.582
O 4.419 6.820 5.264
O 4.549 3.274 8.723
O 5.644 5.574 7.118
```

~~~~~

(1)
The following is a DFT calculation (PBE) of a relaxed Ta2ReSnCl crystal.

Calculated values
The calculation puts the electronic total energy at -29.63 eV per cell. Its spin magnetization is 1.079 μB/cell. The calculation puts the density of states at the Fermi level at 5.65 states/eV per cell. Its uncorrected formation energy is 2474 meV/atom.

Lattice parameters (Å, degrees): 5.2026 5.2026 4.8084 90.00 90.00 90.00
Closest atoms and distances in Å follow each position.
Element x y z (fractional)
Ta: 0.0000 0.5000 0.0000  2 Sn 2.60
Ta: 0.5000 0.0000 0.0000  2 Sn 2.60
Re: 0.0000 0.0000 0.5000  8 Ta 3.54, 4 Cl 3.68
Sn: 0.5000 0.5000 0.0000  2 Cl 2.40, 4 Ta 2.60
Cl: 0.5000 0.5000 0.5000  2 Sn 2.40


(2)
The following is a DFT calculation (PBE) of a relaxed Ta2ReSnCl crystal.

Calculated values
The calculation puts the electronic total energy at -36.63 eV per cell. Its spin magnetization is 0.966 μB/cell. The calculation puts the density of states at the Fermi level at 3.87 states/eV per cell. Its uncorrected formation energy is 1074 meV/atom.

Lattice parameters (Å, degrees): 4.9487 4.9487 5.1796 90.00 90.00 90.00
Closest atoms and distances in Å follow each position.
Element x y z (fractional)
Ta: 0.0000 0.5000 0.0000  2 Re 2.47
Ta: 0.5000 0.0000 0.0000  2 Re 2.47
Re: 0.0000 0.0000 0.0000  4 Ta 2.47, 2 Sn 2.59
Sn: 0.0000 0.0000 0.5000  2 Re 2.59
Cl: 0.5000 0.5000 0.5000  4 Sn 3.50, 8 Ta 3.58


(3)
The following is a DFT calculation (PBE) of a relaxed SrReCl2 crystal.

Calculated values
The calculation puts the electronic total energy at -18.34 eV per cell. Its spin magnetization is 0.976 μB/cell. The calculation puts the density of states at the Fermi level at 2.28 states/eV per cell. Its uncorrected formation energy is -130 meV/atom.

Lattice parameters (Å, degrees): 4.8272 3.9909 4.8564 90.00 94.33 90.00
Closest atoms and distances in Å follow each position.
Element x y z (fractional)
Sr: 0.0000 0.0000 0.0000  4 Cl 2.93
Re: 0.5000 0.0000 0.5000  4 Cl 2.44
Cl: 0.3029 0.5000 0.6978  2 Re 2.44
Cl: 0.6971 0.5000 0.3022  2 Re 2.44


(4)
____________
So much for the crystal structures:

You make an instance of the Expression class, call parse and pass the string you want it to evaluate, and then check if there was any error parsing the code. If not, calling execute runs the expression you passed during parse and returns whatever that expression would return if called directly.

You can also define variables to use in your equations if you want by defining them during your parse action and then plugging in the values you want to use during the call the execute, though I haven’t yet needed to do this.

(Misplaced crystal structures)
____________
# YBeRe2Tc PBE-GGA relaxed
# V	81.2	Å³ per cell
# raw total energy	-8.54	eV/atom
# total magnetic moment	0.00	μB per cell
# ΔE_f	0.550	eV/atom
data_YBeRe2Tc
_cell_length_a 4.317
_cell_length_b 4.317
_cell_length_c 4.356
_cell_angle_alpha 90.00
_cell_angle_beta 90.00
_cell_angle_gamma 90.00
_space_group_name_H-M_alt 'P 4/m m m'
_space_group_IT_number 123
_space_group_name_Hall '-P 4 2'
loop_
_atom_site_label
_atom_site_fract_x
_atom_site_fract_y
_atom_site_fract_z
_atom_site_occupancy
Y1 0.000 0.000 0.000 1
Be1 0.500 0.500 0.500 1
Re1 0.000 0.500 0.500 1
Tc1 0.500 0.500 0.000 1

---

# YV3Cu PBE-GGA relaxed
# V	97.6	Å³ per cell
# raw total energy	-6.65	eV/atom
# total magnetic moment	5.79	μB per cell
# ΔE_f	0.931	eV/atom
# energy above the most stable polymorph in this dataset	0.000	eV per atom
data_YV3Cu
_cell_length_a 4.605
_cell_length_b 4.605
_cell_length_c 4.605
_cell_angle_alpha 90.00
_cell_angle_beta 90.00
_cell_angle_gamma 90.00
_space_group_name_H-M_alt 'P m -3 m'
_space_group_IT_number 221
_space_group_name_Hall '-P 4 2 3'
loop_
_atom_site_label
_atom_site_fract_x
_atom_site_fract_y
_atom_site_fract_z
_atom_site_occupancy
Y1 0.000 0.000 0.000 1
V1 0.000 0.500 0.500 1
Cu1 0.500 0.500 0.500 1

---

# AlSCl PBE-GGA relaxed
# V	338.4	Å³ per cell
# uncorrected formation energy	-1.279	eV/atom
# raw total energy	-4.52	eV/atom
# total magnetic moment	0.00	μB per cell
data_AlSCl
_cell_length_a 6.520
_cell_length_b 8.588
_cell_length_c 6.044
_cell_angle_alpha 90.00
_cell_angle_beta 90.00
_cell_angle_gamma 90.00
_space_group_name_H-M_alt 'P c a 21'
_space_group_IT_number 29
loop_
_space_group_symop_operation_xyz
'x,y,z'
'-x,-y,z+1/2'
'-x+1/2,y,z+1/2'
'x+1/2,-y,z'
loop_
_atom_site_label
_atom_site_fract_x
_atom_site_fract_y
_atom_site_fract_z
_atom_site_occupancy
Al1 0.081 0.118 0.000 1
S1 0.084 0.104 0.618 1
Cl1 0.044 0.669 0.602 1

---

# YBe2 PBE-GGA relaxed
# V	99.2	Å³ per cell
# raw total energy	-4.35	eV/atom
# total magnetic moment	0.00	μB per cell
# ΔE_f	0.288	eV/atom
data_YBe2
_cell_length_a 4.5352
_cell_length_b 4.5352
_cell_length_c 5.5708
_cell_angle_alpha 90.00
_cell_angle_beta 90.00
_cell_angle_gamma 120.00
_space_group_name_H-M_alt 'P 63/m m c'
_space_group_IT_number 194
_space_group_name_Hall '-P 6c 2c'
loop_
_atom_site_label
_atom_site_fract_x
_atom_site_fract_y
_atom_site_fract_z
_atom_site_occupancy
Y1 0.3333 0.6667 0.2500 1
Be1 0.0000 0.0000 0.0000 1
Be2 0.3333 0.6667 0.7500 1
____________
(The piece goes on)

# Source:

var expression =
# Define the variable names first in the second parameter of `parse()`.
# In this example, we use `x` for the variable name.
expression.parse("20 + 2 * x", ["x"])
# Then define the variable values in the first parameter of `execute()`.
# Here, `x` is assigned the integer value 5.
var result = expression.execute([5])
print(result)  # 30

This is all pretty neat on its own, but the default functionality is pretty limited on its own, and not too useful for a dev console. Things start to get interesting, though, when you set the base instance of the expression. By doing so, you can now make your Expression instance aware of the object passed to it, allowing you to call commands that exist in its script. In my dev console, I have a number of helpful functions defined, such as moving a unit, reloading a scene, and ending battles, which I make available to the dev console’s Expression instance by passing a reference into all calls to execute:

# Abbreviated for demonstration purposes

# The LineEdit node used for input
@onready var text_input = %text_input

func on_run_command(cmd: String) -> void:
	# Create an Expression instance
	var expression =
	var parse_error = expression.parse(cmd)
	if parse_error != OK:
		# Code here to log and format the error to the dev console

	# First parameter is for variables, which I don't need, so I just pass an empty array as the first parameter
	# Second parameter is the object that can provide additional context to the command
	# In this case, I have "reload" defined in the same script as my Expression, so I just pass "self"
	var result = expression.execute([], self)
	if result != null:
		# Do stuff with the result

# Reload the current scene
func reload() -> void:

With this setup, if I want to reload the current scene, I just type reload() into my console and the current scene reloads! My usage of the base_instance parameter is pretty simple, but you could easily use this to change the debug context throughout your game or hone in on specific scripts with just a few higher level calls to help you get the right reference to them.

Going further

The Expression class covers the basics needed for a dev console by handling parsing, error checking, and running code, which is great, but there’s more that I wanted to really make it useful to me, so here’s a look at some additional features I built into my console.


The very first feature I added was a simple history system so that I can easily call the same command, maybe with some minor changes, repeatedly without having to type everything out each time. To do this, I have an array that holds every command I pass to the console and an integer that tracks my current lookup index. Pressing up takes me to the previous command from where I’m at and pressing down takes me to the more recent command. This index resets when I enter a command, and viola.

var history: Array[String] = []
var history_index: int = -1

func on_input() -> void:
	if Input.is_action_just_pressed('_dev_console_enter'):
		history_index = -1
		text_input.text = ''
	elif Input.is_action_just_released('_dev_console_prev'):
		if history.size() == 0:
		history_index = clamp(history_index + 1, 0, history.size() - 1)
		text_input.text = history[history_index]
		# Hack to make the caret go to the end of the line
		# If I ever have a line of code over 100k characters, please send help
		text_input.caret_column = 100000
	elif Input.is_action_just_released('_dev_console_next'):
		if history.size() == 0:
		history_index = clamp(history_index - 1, 0, history.size() - 1)
		text_input.text = history[history_index]
		text_input.caret_column = 100000


Another feature I wanted was autocomplete. Unlike history, this one was a little trickier to figure out, but I think I’ve got a method that works well enough. As a start, on load, I populate the list of possible methods that can be called by making a call to get_script().get_script_method_list(), which returns a list of all methods defined in the script of the current object (ie the dev console) while also excluding any methods from the inherited class, which helps to keep the autocomplete list shorter and more relevant. This does include things that shouldn’t be manually called, like _ready, but that would be more of a concern if I wasn’t the sole user of the console.

It’s also worth noting that get_script_method_list() actually returns an array of dictionaries containing additional information about each function beyond just its name, such as the arguments it takes and any associated metadata, so I run a map command on the output to extract only the method names.

var autocomplete_methods: Array = []

# Get the list of methods defined in the current script without including any inherited functions
func _ready() -> void:
	autocomplete_methods = get_script().get_script_method_list().map(func (x): return

With the list populated, I can grab the current text in the console when Tab is pressed, call begins_with on each possible method to see if any of them start with whatever is in the console, and return the first match.

To make things a little more useful, I also track user inputs so that hitting Tab repeatedly steps through the list of all possible matches, and made it so that hitting Tab when the text input is empty lets me step through all methods in the list. I’m not certain if there’s a “better” way to do it (there’s certainly room for performance tweaks if that was needed), but it works for my needs and was fast to implement so I’ll probably stick with this implementation.

# Abbreviated to the relevant bits

# Where in the list of possible matches are we
var autocomplete_index: int = 0
# All methods that are viable for autocomplete
var autocomplete_methods: Array = []
# Track if that last input was related to autocomplete
var last_input_was_autocomplete: bool = false
# Store matches of the last autocomplete so that the search doesn't have to be repeated
# when Tab is pressed multiple times
var prev_autocomplete_matches: Array = []

# Get the list of methods defined in the current script without including any inherited functions
func _ready() -> void:
	autocomplete_methods = get_script().get_script_method_list().map(func (x): return

func autocomplete() -> void:
    var matches = []
    var match_string = text_input.text
    # Run through matches for the last string if the user is stepping through autocomplete options
    if last_input_was_autocomplete:
        matches = prev_autocomplete_matches
    # Step through all possible matches if no input string
    elif match_string.length() == 0:
        matches = autocomplete_methods
    # Otherwise check if each possible method begins with the user string
        for method in autocomplete_methods:
            if method.begins_with(match_string):
    # Store matches string for later
    prev_autocomplete_matches = matches

    # Nothing to return if no matches
    if matches.size() == 0:
    # Go to the next possible autocomplete option if the user is Tabbing through options
    if last_input_was_autocomplete:
        autocomplete_index = wrapi(
            autocomplete_index + 1,
        autocomplete_index = 0
    # Populate console input with match
    text_input.text = matches[autocomplete_index]
    # Make sure the caret goes to the end of the line
    text_input.caret_column = 100000

# Track if the user has hit any inputs that should reset the autocomplete index
if event is InputEventKey:
    last_input_was_autocomplete = Input.is_action_just_pressed('dev_console_autocomplete') \
        or Input.is_action_just_released('dev_console_autocomplete')


And that’s a quick look at my dev console. It’s pretty simple, but has already made a big difference in how quickly I can test and debug my game. If this were something intended for end users, I’d probably add in some additional safety features to prevent cheating, some help or other documentation, and maybe even a custom parser so that you’re not having to write valid GDScript to call a function, but for a quick and easy way to speed up my development, this works well enough.